How Long to the Grexit?
Adelina Marini, June 20, 2015
The tired faces of the ministers representing the institutions before the Eurogroup meeting on Thursday turned into grim expressions after the session, which was longer than anticipated, considering the outcome. And if their faces, after uttering several worrisome lines, were not enough, the fact that European Council president Donald Tusk called the same day for an emergency summit of Eurozone leaders on Monday shows the situation is really serious. Before the leaders there is also going to be a meeting of the Eurogroup.
(Someone pasted data records at this point)
/*
No. 1
115
Properties=species:S:1:pos:R:3:lowdin_spin:R:1 method="wB97M-V/def2-TZVPD" homo_ev="-2.55 / -3.24" multiplicity=6 orbital_gap_ev="6.429 / 6.613" charge=-2 e_above_lowest_kj_mol=0.0
Ru -0.38848 -1.20402 -2.60326 3.83
O -3.28968 -0.52303 1.56257 0.00
C -3.91524 0.44319 0.90964 0.00
C -5.04730 0.93722 1.63123 0.00
C -5.93356 1.93700 1.21896 0.00
C -5.56864 2.40888 -0.08775 0.00
C -4.49928 2.00259 -0.81653 0.00
C -3.62478 1.05009 -0.29257 0.01
C -2.25696 0.75384 -1.02535 0.01
O -1.80462 -0.44268 -0.88333 0.12
N -1.93981 1.77336 -1.82207 0.01
N -0.82038 1.34332 -2.68071 0.05
C -0.20733 2.31908 -3.21561 0.01
C 0.84749 2.16185 -4.23005 0.01
C 1.38925 3.26818 -4.74755 0.00
C 2.52080 3.27151 -5.62943 0.01
C 2.96171 2.03898 -6.12029 0.00
C 2.37127 0.92169 -5.58385 0.01
C 1.30756 0.86939 -4.63952 0.01
O 0.78520 -0.16708 -4.16258 0.13
H -2.63235 -0.90756 0.89936 0.00
H -5.28137 0.56688 2.65352 0.00
H -6.86576 2.17351 1.67891 0.00
H -6.14199 3.18807 -0.53948 0.00
H -4.39385 2.48683 -1.80604 0.00
H -0.35609 3.37863 -2.73660 0.00
H 1.04564 4.28224 -4.45445 0.00
H 2.88451 4.18381 -5.99850 0.00
H 3.84904 1.96320 -6.72956 0.00
H 2.86990 -0.05069 -5.96509 0.00
Se 2.24139 2.12652 5.31799 0.00
P 0.80507 1.12660 4.08755 0.00
C -0.21665 -0.07676 5.03671 0.00
C -1.28925 -0.61069 4.35709 0.00
C -2.19954 -1.43451 4.99440 0.00
C -2.04762 -1.84079 6.33876 0.00
C -0.91882 -1.32256 6.99438 0.00
C -0.02606 -0.49503 6.34808 0.00
C -0.45074 2.35464 3.61745 0.00
C -0.90043 3.24736 4.58206 0.00
C -2.03721 4.02680 4.34461 0.00
C -2.67401 3.95399 3.12504 0.00
C -2.24127 3.09969 2.14882 0.00
C -1.11395 2.30909 2.40921 0.00
C 1.46526 0.20412 2.71971 0.00
C 2.16365 0.48178 1.54850 0.00
N 2.43542 -0.76039 1.01709 0.00
N 2.06608 -1.69294 1.87258 0.00
N 1.35396 -1.13944 2.86708 0.00
P 2.96493 1.82757 0.71517 0.00
Se 3.47071 1.50099 -1.31042 0.00
C 1.95089 3.30831 0.82225 0.00
C 1.81977 4.05695 2.00433 0.00
C 1.07959 5.17810 2.06347 0.00
C 0.34692 5.58052 0.92895 0.00
C 0.41902 4.84170 -0.26352 0.00
C 1.24595 3.69627 -0.28553 0.00
C 4.45885 2.09644 1.76809 0.00
C 5.13741 3.30644 1.82546 0.00
C 6.25398 3.44177 2.60172 0.00
C 6.71134 2.33028 3.41832 0.00
C 6.04990 1.15286 3.25615 0.00
C 4.87055 1.05643 2.50345 0.00
H -1.46715 -0.43543 3.22913 0.00
H -2.98762 -1.83059 4.32532 0.00
H -2.87790 -2.51232 6.72997 0.00
H -0.70047 -1.56364 8.01026 0.00
H 0.78170 -0.02129 6.83863 0.00
H -0.25846 3.41032 5.49509 0.00
H -2.32586 4.71714 5.14578 0.00
H -3.73326 4.38566 2.93524 0.00
H -2.66158 3.17340 1.16412 0.00
H -0.64704 1.82543 1.52746 0.00
H 2.39403 3.72063 2.86571 0.00
H 1.10910 5.70973 2.98042 0.00
H -0.31769 6.49265 0.97317 0.00
H -0.20888 5.15827 -1.06023 0.00
H 1.34800 3.15867 -1.22786 0.00
H 4.78357 4.05486 1.05906 0.00
H 6.86647 4.41083 2.62435 0.00
H 7.55645 2.48503 4.06920 0.00
H 6.18026 0.23123 3.89340 0.00
H 4.41489 0.08999 2.49297 0.00
C -1.67716 -1.75335 -4.32045 0.22
C -1.75264 -3.21595 -4.59332 0.04
C -0.59366 -3.88986 -4.89086 0.03
C -0.52625 -5.24641 -4.97465 0.00
*/
How scary is it?
Everyone in the Eurozone and the Troika made it very clear that the end is near. One of Greece most fervent advocates before the meeting - Economic Commissioner Pierre Moscovici (France, Socialists and Democrats) - said with disappointment in his voice after it “We all knew that today’s meeting was going to be difficult. I hoped it would be useful. We're waiting for credible counter-proposals. The ball really is still in the Greek authorities' court. There’s not much time left to avoid the worst”. Eurogroup boss Jeroen Dijsselbloem (Netherlands, Socialists and Democrats) did not sound as desperate but with an extremely serious face he announced that unfortunately no progress had been made.
According to him, there is still time to come to an agreement but this will require another extension of the program, whose first extension expires on June 30. The reason is that even if an agreement is reached right now it still needs to go through parliamentary procedures in some of the Eurozone member countries. This would be impossible to happen by the end of June. Hence the need for another extension. How long – he did not yet know.
International Monetary Fund leader Christine Lagarde looked not just serious but rather angry after the meeting, even losing her cool and saying she expected to negotiate with grownups. She emphasised several times that Greece’s proposals needed to be credible for the IMF extends loans from the money of its 188 members – from the poorest countries in the world to the wealthiest. Mr Dijsselbloem added that there were no painless solutions. Truly difficult measures need to be taken which requires politicians who are ready to tell their people the truth. There is no easy way out, said the Dutch finance minister, adding that if it is impossible for Greece to remain in the Eurozone there is preparedness for any scenario.
After the end of the Eurogroup meeting on Thursday night few of the ministers were willing to talk. Fatigue and frustration were notable on their faces. The Finnish minister of finance was among the few that stopped to talk to journalists, although at first he sighed wearily and said he just wanted to go back to his hotel. He did, however, spare a minute and a half to say that any new proposition from Greece must first pass through the technical negotiation team. His Maltese colleague Edward Scicluna was a little more optimistic in saying he was not expecting anything to happen at the end of the month. He did not name it by its real name – Grexit – but that’s exactly what he meant. According to him, it is high time for more transparency.
Negotiations are secret by rule and there is a good reason for this, but when they are failing or as is the case now are blocked it is essential that people in Greece and the other Eurozone countries to be aware what the Greek government has offered or was offered. That way people will be able to make an informed decision whether Greece needs to be helped in spite of all, or else say “it's their fault and we're sorry”. He added that public opinion must be known and it will influence events on its own.
Greek Minister of Finance Yanis Varoufakis’s press conference on the other hand was like coming from a different planet. Unlike his Eurogroup colleagues he looked his usual self – slightly cocky, with the usual smiles, witticisms, even ending with a joke that brought dead silence. As if to set in stone the conviction that there are problems with understanding in the EU he began in Greek and after the exhausted pleas of foreign journalists to speak in English he stressed he was going to reply in the language he was asked in. The press conference dragged for too long and what was said did not make the Babylonian torment worth it.
It became clear from the Greek minister’s words that he presented to his colleagues basically a magic wand that could solve the present situation and even the whole crisis “tonight”. The magic wand is a proposal he named “comprehensive”. Later in his blog Yanis Varoufakis published what is claimed to be his speech at the Eurogroup, accompanied by the following introduction: “The only antidote to propaganda and malicious ‘leaks’ is transparency. After so much disinformation on my presentation at the Eurogroup of the Greek government’s position, the only response is to post the precise words uttered within. Read them and judge for yourselves whether the Greek government’s proposals constitute a basis for agreement.”
The text is quite long, most of it the usual mix of emotion, philosophically-economic views and selective presentation of facts. Both at the press conference and in this text the Greek game theory specialist cited the recently published blogpost of IMF senior economist Olivier Blanchard on what should be the size of the correction Greece must make. He did not, however, mention the part of Blanchard’s analysis where it says the Greek pension system is the most expensive in Europe and serious cuts must be made.
The essence of the Greek proposal is in three parts. First one is deep reforms. This includes the “news” in Mr Varoufakis’s proposal – instituting an automatic deficit brake. The problem is Greece has already committed to such break by signing the fiscal compact in 2012. According to Article 4 of the compact, any country whose debt-to-GDP ratio exceeds 60% must take action to lower it by 1/20 per annum. Sanctions are provided for non-compliance with the rules. Second part of the Greek plan is restructuring the debt. It is an old idea that the Greek government pushes up again as a demand. Part of this debt restructuring is a an interinstitutional bond swap.
In return for this exchange Athens promises to carry through “a program of deep reforms” with provisions for the successful completion of the current program and providing for a new agreement. Third part of the plan is an investment program financed by Juncker’s investment plan. “Does anyone truly doubt that this three-part announcement would dramatically change the mood, inspire Greeks to work hard on hope of a better future, invite investors to a country whose asset prices have fallen so dramatically, and give confidence to Europeans that Europe can, even at the 11th hour, do the right thing?”, asked Mr Varoufakis at the end of his long speech.
According to him if this proposal was accepted by his Eurogroup partners the crisis would have ended last night. The problem with the “plan” is that it lacks actual numbers, costing each measure and assuring creditors that it is worthwhile continuing to grant funds to the Greek government at low interest. Many of the ministers last night even refused to discuss the offer. Alexander Stubb, minister of finance of Finland, reminded that the correct procedure was the new proposal to go first through the technical group and then be presented to the ministers for discussion. Others also shared that they were not seeing numbers and timeframes.
When will the grownups come?
Meanwhile, Greek Prime Minister Alexis Tsipras is in Moscow, where he was assured Greece’s plea for a loan could be granted. He, too, did not look at all worried by the events of the evening of June 18, one of the last possible dates for reaching an agreement. His finance minister without rhyme or reason made a perplexing joke, after which a dead silence came down in the overcrowded room. The joke came as a response to a question about the possibility of enforcing capital controls to banks to avoid bank runs. There are two people on a golf course and one of them says: "I'll tell you how I became rich. My business burnt down. I collected the insurance and I decided to live on it". The other one says: "Well, something similar happened to me. My business was flooded. I collected the insurance and I'm living happily ever after". And the first guy says to him: "How do you start a flood?".
After the total silence that ensued Yanis Varoufakis had to answer questions on VAT rates and pensions. We heard the well-familiar answers – we do not accept the Troika’s proposals, but we have none of our own. According to Varoufakis, the problem with VAT is poor collection. This problem will not be solved by raising the rate to 23% as the institutions are offering. He did not say how he proposes to increase collection rate and it was missing from his “plan” presented on Thursday. The whole discussion re-states Christine Lagarde’s question if it is possible for the Greek government to grow up over the weekend so they can sit as an adult at the negotiation table during the special Eurogroup meeting and at the table of Eurozone leaders.
No one wants yet to come out and say out loud that a possible Grexit would be discussed at these meetings. Some leaders are calling for anything possible to be done to broker a deal, obviously willing to make concessions. Among them is French president François Hollande. Others are adamant that no more compromises should be made with Greece. Such is the opinion of Slovak Prime Minister Robert Fico. Austria also thinks that a possible Grexit should not be taken lightly, while the attitude in Berlin is rather one of preparation for the exit. The key question is whose views will prevail. On one hand there is the geopolitical risk of Russia welcoming such developments that lend it a more serious access to the Balkans. On the other hand is the Eurozone instability. Leaving Greece in its current condition, with the current attitudes of its politicians foreshadows turning the crisis into a permanent one which will surely demoralise the other members as well.
It has been going for six years and if the present ideology is sustained it is hardly likely anything will change. At the same time, eurosceptic parties are becoming unavoidable factors in more member countries. At the Danish parliamentary election held too on June 18 the anti-immigration People's Party came second with 21% of the vote. Leaving aside the continuing triumph of eurosceptic and nationalist parties it must be taken into consideration that a new season of the Greek drama will mean a serious delay in intensifying the integration within the common currency zone. The second report of the four presidents, containing long-term visions with opening-up the treaties for changes is going to be presented at the Brussels summit end of next week.
However, this is not happening until trust among member countries is fully re-established. Preserving the Greek status quo renders this absolutely impossible. Thus the main question the leaders must answer on Monday is not what more can be done, but rather is an agreement with SYRIZA possible at all. Unfortunately the answer is self-evident. Greek citizens, however, seem already to be feeling the great danger and gathered on Thursday night to a mass rally in favour of Greece remaining within the currency block. A solution can be sought in a combination of concessions by the Eurozone and a possible change of governments in Greece. It is too early to predict whether such a solution would be sustainable in the long run for there are no guarantees elections would not be won by an even more-radical political version. It is a totally possible scenario for all, besides the radicals, are well aware that, unfortunately, there is no painless solution to Greece’s problems.